Wanted.
Find "0.623" and "0.221 0.456" in the entries below, and set down these two lines and those between.

Data.
____________
Record 1
The following is a computed powder diffractogram of Li2V3WO8. It was derived from a crystal structure in the Materials Project, relaxed with PBE+U, using Cu Kα X-rays.
Peak positions follow from Bragg's law for the DFT cell and can differ from measured ones.

The 10 most intense peaks (10 to 80 degrees two-theta), sorted by position:
2θ/deg	Rel. int.
14.56	29
17.85	100
23.11	42
25.35	20
34.53	35
34.63	17
36.15	23
41.94	35
42.10	17
60.93	22

Structure:
```
data_Li2V3WO8
_chemical_formula_sum 'Li8 V12 W4 O32'
_cell_length_a 8.586
_cell_length_b 8.614
_cell_length_c 8.620
_cell_angle_alpha 89.98
_cell_angle_beta 89.98
_cell_angle_gamma 89.99
_space_group_name_H-M_alt 'P 1'
_space_group_IT_number 1
_space_group_name_Hall 'P 1'
loop_
_atom_site_label
_atom_site_type_symbol
_atom_site_fract_x
_atom_site_fract_y
_atom_site_fract_z
_atom_site_occupancy
Li1 Li 0.000 0.000 0.000 1
Li2 Li 0.001 0.500 0.503 1
Li3 Li 0.249 0.750 0.751 1
Li4 Li 0.253 0.252 0.252 1
Li5 Li 0.500 0.502 0.002 1
Li6 Li 0.501 0.003 0.500 1
Li7 Li 0.750 0.752 0.251 1
Li8 Li 0.752 0.250 0.751 1
V1 V 0.121 0.130 0.624 1
V2 V 0.127 0.381 0.871 1
V3 V 0.129 0.628 0.123 1
V4 V 0.373 0.376 0.623 1
V5 V 0.374 0.622 0.371 1
V6 V 0.380 0.873 0.124 1
V7 V 0.622 0.372 0.379 1
V8 V 0.627 0.121 0.131 1
V9 V 0.629 0.875 0.879 1
V10 V 0.873 0.128 0.379 1
V11 V 0.874 0.881 0.631 1
V12 V 0.880 0.630 0.878 1
W1 W 0.125 0.877 0.375 1
W2 W 0.376 0.126 0.875 1
W3 W 0.625 0.626 0.627 1
W4 W 0.877 0.377 0.127 1
O1 O 0.107 0.382 0.113 1
O2 O 0.112 0.114 0.383 1
O3 O 0.114 0.614 0.889 1
O4 O 0.117 0.889 0.610 1
O5 O 0.133 0.639 0.362 1
O6 O 0.138 0.364 0.638 1
O7 O 0.141 0.871 0.141 1
O8 O 0.145 0.138 0.868 1
O9 O 0.357 0.865 0.368 1
O10 O 0.361 0.132 0.641 1
O11 O 0.364 0.638 0.138 1
O12 O 0.368 0.364 0.862 1
O13 O 0.385 0.114 0.110 1
O14 O 0.388 0.389 0.388 1
O15 O 0.390 0.889 0.883 1
O16 O 0.394 0.621 0.612 1
O17 O 0.608 0.121 0.890 1
O18 O 0.611 0.389 0.620 1
O19 O 0.614 0.888 0.114 1
O20 O 0.617 0.614 0.393 1
O21 O 0.633 0.864 0.641 1
O22 O 0.638 0.138 0.364 1
O23 O 0.640 0.632 0.861 1
O24 O 0.646 0.364 0.134 1
O25 O 0.857 0.639 0.634 1
O26 O 0.861 0.371 0.362 1
O27 O 0.864 0.864 0.864 1
O28 O 0.869 0.139 0.140 1
O29 O 0.885 0.389 0.891 1
O30 O 0.887 0.114 0.614 1
O31 O 0.891 0.614 0.120 1
O32 O 0.894 0.882 0.390 1
```

***

Record 2
The following is a computed powder diffractogram of Hg2Mo5O16. It was derived from a crystal structure in the Materials Project, relaxed with PBE+U, using Cu Kα X-rays.
Peak positions follow from Bragg's law for the DFT cell and can differ from measured ones.

The 10 most intense peaks (10 to 80 degrees two-theta), sorted by position:
2θ/deg	Rel. int.
16.99	33
18.61	47
18.78	36
20.78	46
24.65	29
25.04	100
27.31	46
31.73	28
32.75	34
32.88	28

Structure:
```
data_Hg2Mo5O16
_chemical_formula_sum 'Hg4 Mo10 O32'
_cell_length_a 9.404
_cell_length_b 5.640
_cell_length_c 14.573
_cell_angle_alpha 90.00
_cell_angle_beta 109.40
_cell_angle_gamma 90.00
_space_group_name_H-M_alt 'P 1'
_space_group_IT_number 1
_space_group_name_Hall 'P 1'
loop_
_atom_site_label
_atom_site_type_symbol
_atom_site_fract_x
_atom_site_fract_y
_atom_site_fract_z
_atom_site_occupancy
Hg1 Hg 0.089 0.228 0.198 1
Hg2 Hg 0.089 0.772 0.698 1
Hg3 Hg 0.911 0.228 0.302 1
Hg4 Hg 0.911 0.772 0.802 1
Mo1 Mo 0.268 0.223 0.571 1
Mo2 Mo 0.268 0.777 0.071 1
Mo3 Mo 0.371 0.324 0.913 1
Mo4 Mo 0.371 0.676 0.413 1
Mo5 Mo 0.500 0.125 0.250 1
Mo6 Mo 0.500 0.875 0.750 1
Mo7 Mo 0.629 0.324 0.587 1
Mo8 Mo 0.629 0.676 0.087 1
Mo9 Mo 0.732 0.223 0.929 1
Mo10 Mo 0.732 0.777 0.429 1
O1 O 0.098 0.169 0.479 1
O2 O 0.098 0.831 0.979 1
O3 O 0.195 0.357 0.827 1
O4 O 0.195 0.643 0.327 1
O5 O 0.221 0.456 0.634 1
O6 O 0.221 0.544 0.134 1
O7 O 0.288 0.038 0.166 1
O8 O 0.288 0.962 0.666 1
O9 O 0.345 0.094 0.987 1
O10 O 0.345 0.906 0.487 1
O11 O 0.380 0.402 0.500 1
O12 O 0.380 0.598 0.000 1
O13 O 0.438 0.318 0.323 1
O14 O 0.438 0.682 0.823 1
O15 O 0.489 0.177 0.845 1
O16 O 0.489 0.823 0.345 1
O17 O 0.511 0.177 0.655 1
____________

Written answer.
V4 V 0.373 0.376 0.623 1
V5 V 0.374 0.622 0.371 1
V6 V 0.380 0.873 0.124 1
V7 V 0.622 0.372 0.379 1
V8 V 0.627 0.121 0.131 1
V9 V 0.629 0.875 0.879 1
V10 V 0.873 0.128 0.379 1
V11 V 0.874 0.881 0.631 1
V12 V 0.880 0.630 0.878 1
W1 W 0.125 0.877 0.375 1
W2 W 0.376 0.126 0.875 1
W3 W 0.625 0.626 0.627 1
W4 W 0.877 0.377 0.127 1
O1 O 0.107 0.382 0.113 1
O2 O 0.112 0.114 0.383 1
O3 O 0.114 0.614 0.889 1
O4 O 0.117 0.889 0.610 1
O5 O 0.133 0.639 0.362 1
O6 O 0.138 0.364 0.638 1
O7 O 0.141 0.871 0.141 1
O8 O 0.145 0.138 0.868 1
O9 O 0.357 0.865 0.368 1
O10 O 0.361 0.132 0.641 1
O11 O 0.364 0.638 0.138 1
O12 O 0.368 0.364 0.862 1
O13 O 0.385 0.114 0.110 1
O14 O 0.388 0.389 0.388 1
O15 O 0.390 0.889 0.883 1
O16 O 0.394 0.621 0.612 1
O17 O 0.608 0.121 0.890 1
O18 O 0.611 0.389 0.620 1
O19 O 0.614 0.888 0.114 1
O20 O 0.617 0.614 0.393 1
O21 O 0.633 0.864 0.641 1
O22 O 0.638 0.138 0.364 1
O23 O 0.640 0.632 0.861 1
O24 O 0.646 0.364 0.134 1
O25 O 0.857 0.639 0.634 1
O26 O 0.861 0.371 0.362 1
O27 O 0.864 0.864 0.864 1
O28 O 0.869 0.139 0.140 1
O29 O 0.885 0.389 0.891 1
O30 O 0.887 0.114 0.614 1
O31 O 0.891 0.614 0.120 1
O32 O 0.894 0.882 0.390 1
```

***

Record 2
The following is a computed powder diffractogram of Hg2Mo5O16. It was derived from a crystal structure in the Materials Project, relaxed with PBE+U, using Cu Kα X-rays.
Peak positions follow from Bragg's law for the DFT cell and can differ from measured ones.

The 10 most intense peaks (10 to 80 degrees two-theta), sorted by position:
2θ/deg	Rel. int.
16.99	33
18.61	47
18.78	36
20.78	46
24.65	29
25.04	100
27.31	46
31.73	28
32.75	34
32.88	28

Structure:
```
data_Hg2Mo5O16
_chemical_formula_sum 'Hg4 Mo10 O32'
_cell_length_a 9.404
_cell_length_b 5.640
_cell_length_c 14.573
_cell_angle_alpha 90.00
_cell_angle_beta 109.40
_cell_angle_gamma 90.00
_space_group_name_H-M_alt 'P 1'
_space_group_IT_number 1
_space_group_name_Hall 'P 1'
loop_
_atom_site_label
_atom_site_type_symbol
_atom_site_fract_x
_atom_site_fract_y
_atom_site_fract_z
_atom_site_occupancy
Hg1 Hg 0.089 0.228 0.198 1
Hg2 Hg 0.089 0.772 0.698 1
Hg3 Hg 0.911 0.228 0.302 1
Hg4 Hg 0.911 0.772 0.802 1
Mo1 Mo 0.268 0.223 0.571 1
Mo2 Mo 0.268 0.777 0.071 1
Mo3 Mo 0.371 0.324 0.913 1
Mo4 Mo 0.371 0.676 0.413 1
Mo5 Mo 0.500 0.125 0.250 1
Mo6 Mo 0.500 0.875 0.750 1
Mo7 Mo 0.629 0.324 0.587 1
Mo8 Mo 0.629 0.676 0.087 1
Mo9 Mo 0.732 0.223 0.929 1
Mo10 Mo 0.732 0.777 0.429 1
O1 O 0.098 0.169 0.479 1
O2 O 0.098 0.831 0.979 1
O3 O 0.195 0.357 0.827 1
O4 O 0.195 0.643 0.327 1
O5 O 0.221 0.456 0.634 1